28 Feb 2025

A young man’s brain turned to glass during the eruption of Mount Vesuvius. Scientists say they have figured out how

5:41 pm on 28 February 2025

By Katie Hunt, CNN

Inserted here: records of molecules:
┌──
# 1
Entry from the Open Molecules 2025 dataset: C2H3ClFN as an isolated structure in a non-equilibrium geometry (ωB97M-V with the def2-TZVPD basis set).

Structure (ORCA input):
```
! RIJCOSX wB97M-V def2-TZVPD def2/J DEFGRID3
* xyz 0 1
C 1.14473 0.37421 0.21954
C -0.17333 -1.14499 -0.12087
N 0.57810 1.41869 0.48752
F 0.44853 -2.22678 0.33229
Cl 2.71770 -0.22057 -0.13113
H -0.32126 -1.24640 -1.14427
H -1.13485 -0.75780 0.25069
H 1.12555 2.26620 0.71849
*
```

Summary:
**HOMO**: -9.42 eV
**Frontier orbital gap**: 10.22 eV
**Energy above the lowest of the compared OMol25 structures with the same formula, charge and spin**: 38.3 kcal per mole

---

# 2
Entry from the Open Molecules 2025 dataset: one molecule with the formula C5H7NO (ωB97M-V with the def2-TZVPD basis set).

Structure (ORCA input):
```
! RIJCOSX wB97M-V def2-TZVPD def2/J DEFGRID3
* xyz 0 1
C 0.59211 1.61458 -0.53030
C -0.01365 0.23732 -0.58548
C -0.53838 -0.36397 -1.80019
O -1.05053 -1.47580 -1.85620
C -0.37625 -1.84057 0.99645
C -0.10459 -0.64270 0.43288
N 0.18049 -0.65859 1.87581
H 1.10156 1.83471 -1.47718
H 1.34048 1.69260 0.26961
H -0.16170 2.39814 -0.36710
H -0.43510 0.25455 -2.71682
H -1.37077 -2.23470 1.19398
H -0.37265 -0.01830 2.44675
H 1.14391 -0.74423 2.18818
*
```

Summary:
**HOMO**: -7.59 eV
**Frontier orbital gap**: 7.98 eV
**Energy above the lowest of the compared OMol25 structures with the same formula, charge and spin**: 96.3 kcal per mole
**SMILES**: C/C(=C/[O-])C1=C[NH2+]1

---

# 3
Entry from the Open Molecules 2025 dataset: C34H25F3N8O4SSeSn as an isolated structure (ωB97M-V with the def2-TZVPD basis set).

Structure (ORCA input):
```
! RIJCOSX wB97M-V def2-TZVPD def2/J DEFGRID3
* xyz -2 1
Sn -0.92501 0.10553 0.03523
C 4.37001 -2.10850 -2.12919
C 4.58777 -1.37910 -0.96614
C 3.74772 -0.32830 -0.62148
C 2.66502 0.02539 -1.43599
C 2.46059 -0.71409 -2.60819
C 3.29699 -1.76760 -2.94489
N 1.78133 1.02613 -1.01967
C 1.57094 2.07399 -1.77985
C 2.34327 2.40226 -2.96940
C 2.12957 3.54741 -3.66795
C 1.11734 4.47965 -3.29691
C 0.35303 4.20903 -2.20065
C 0.54225 3.03244 -1.43630
N -0.24955 2.72722 -0.35556
N -1.01528 3.63288 0.07219
C -1.83290 3.22612 1.15031
C -2.65658 4.21010 1.69231
C -3.48391 3.88890 2.74658
C -3.47810 2.59440 3.24297
C -2.62974 1.67955 2.65352
N -1.80115 1.97999 1.64859
H 5.00739 -2.94759 -2.38232
H 5.41174 -1.63913 -0.31040
H 3.90274 0.22979 0.29638
H 1.60485 -0.47301 -3.23119
H 3.09182 -2.34482 -3.83924
H 3.11925 1.71335 -3.27459
H 2.74304 3.75507 -4.53967
H 0.94561 5.36904 -3.89081
H -0.44756 4.86982 -1.89602
H -2.64127 5.19286 1.24146
H -4.14551 4.63723 3.16804
H -4.14665 2.27894 4.03221
H -2.60766 0.65121 2.99940
F 1.35545 -5.32480 -2.02971
C 0.78425 -4.85454 -3.12506
F 1.76630 -4.81626 -4.08275
F -0.07588 -5.82938 -3.56003
C 0.08311 -3.53118 -3.03528
C -0.43265 -3.10527 -4.25043
C -1.14226 -1.92468 -4.35753
C -1.30512 -1.19611 -3.19010
N -0.80395 -1.57431 -2.02288
C -0.10162 -2.73980 -1.85795
S 0.48928 -3.08309 -0.28572
H -0.27475 -3.72214 -5.12866
└──

This undated photo handout on January 23, 2020 by the press office of the Haerculaneum Archeological Site in Ercolano near Pompeii shows a vitrified brain fragment from a victim of the volcanic eruption of Italy's Mount Vesuvius in 79 A.D. The discovery, published on January 23, 2020 in The New England Journal of Medicine, is a rarity in archaeology, and researchers called the find from the ruins of Herculaneum near Pompeii "sensational." (Photo by Handout / PRESS OFFICE OF THE HERCULANEUM ARCHAEOLOGICAL SITE / AFP) / RESTRICTED TO EDITORIAL USE - MANDATORY CREDIT "AFP PHOTO / PRESS OFFICE OF THE HERCULANEUM ARCHAEOLOGICAL SITE" - NO MARKETING - NO ADVERTISING CAMPAIGNS - DISTRIBUTED AS A SERVICE TO CLIENTS

A vitrified brain fragment from a victim of the volcanic eruption of Italy's Mount Vesuvius in 79 AD. Photo: AFP / The Archaeological Park of Herculaneum Press Office

Glass rarely forms naturally from organic materials. However, in 2020, researchers discovered a black, glassy substance inside the skull of a person killed during the eruption of Italy's Mount Vesuvius in AD 79.

Now, the scientists say they have worked out the sequence of events that likely killed the victim and led to the formation of the unique and puzzling glass, thought essentially to constitute fossilized brain tissue.

Recovered from the coastal town of Herculaneum, which along with Pompeii was wiped out by the eruption, the remains belonged to an individual, thought to be a young man, who was found lying face down on a bed buried by volcanic ash.

A new analysis of samples of the glass found inside the skull and spinal cord suggests that the person's body tissue must have been heated to above 510 degrees Celsius before cooling rapidly to allow the glass to form in a process known as vitrification.

"The process of transformation of anything liquid into glass is the fast cooling, not the fast heating," said Guido Giordano, a volcanologist at Roma Tre University in Rome and lead author of the study published Thursday in the journal Scientific Reports.

"Obsidian glass, that is a volcanic glass, forms when lava is very quickly cooled, for example, where it enters into water," Giordano added.

Attached: calculated molecules =
........
Here is a cluster of 2 separate species, C9H14N3O2S in total from the OMol25 dataset. Energies are from wB97M-V/def2-TZVPD.

```
29
Properties=species:S:1:pos:R:3:forces:R:3:lowdin_charge:R:1
S -2.9138 -1.1010 0.0632 -0.04 -0.25 0.48 0.72
O -2.8690 -2.4785 0.4375 0.02 -0.06 0.27 -0.28
O -3.7437 -0.6851 -1.0141 0.03 0.40 -0.11 -0.25
N 2.4266 1.9377 1.2128 0.41 0.47 -0.09 0.09
N -3.7301 2.8750 0.1214 -0.80 1.21 -0.45 0.04
N -4.3241 3.7423 -0.1948 0.73 -1.05 0.38 0.08
C 1.3380 1.2377 -0.7758 0.45 0.14 0.27 -0.38
C -0.3030 -1.5181 -0.4020 -1.20 -0.25 0.62 0.03
C -1.1487 -0.5669 -0.4674 -0.29 0.12 0.01 -0.20
C -0.0105 -2.8584 -0.0257 1.20 -0.37 -0.08 0.00
C 1.7362 -0.0949 -1.3919 -0.01 0.59 -0.11 0.01
C -0.0935 1.5922 -1.0568 -0.23 -0.13 0.09 -0.02
C -1.1609 0.8025 -0.9096 0.37 0.87 -0.33 -0.09
C 1.5233 1.1570 0.7318 -0.65 -0.80 0.04 -0.08
C -3.1635 -0.0755 1.5231 0.31 -0.27 -0.58 -0.09
H -4.1478 -0.3228 1.9072 -0.17 -0.16 -0.09 0.09
H 2.7634 -0.3578 -1.1486 -0.08 -0.27 0.11 0.11
H -3.1185 0.9658 1.2289 0.05 0.01 -0.04 0.01
H 0.6602 -2.9106 0.8326 -0.03 0.01 0.06 0.12
H -2.1470 1.1781 -1.1372 -0.02 0.12 -0.06 0.08
H 1.9899 2.0132 -1.2088 -0.06 -0.06 -0.16 0.14
H 2.6155 1.9266 2.2070 0.01 0.02 -0.07 0.11
H 2.9976 2.5951 0.6687 -0.14 -0.11 0.07 0.13
H -0.2658 2.6080 -1.3790 -0.14 0.10 -0.07 0.13
H 0.4012 -3.4416 -0.8485 -0.07 -0.09 -0.05 0.12
H -0.9862 -3.2894 0.2548 -0.09 0.22 -0.09 0.11
H 1.0707 -0.8947 -0.9675 0.31 -0.21 -0.06 0.05
H 1.5858 -0.0929 -2.4683 -0.05 -0.13 -0.05 0.12
H -2.3984 -0.3316 2.2439 0.17 -0.07 0.10 0.08
```
Positions in Å, forces in eV/Å.

HOMO level (alpha / beta)	-11.90 / -11.90	eV
total charge	+1
lowest unoccupied orbital energy (alpha / beta)	-0.2157 / -0.2157	hartree
2S+1	1
frontier orbital gap (alpha / beta)	6.027 / 6.027	eV


Here is a cluster of 12 separate species, C23H41Cl22FN2O4S2 in total from the OMol25 dataset. Energies are from wB97M-V/def2-TZVPD.

```
95
Properties=species:S:1:pos:R:3:forces:R:3:lowdin_charge:R:1
Cl 7.6796 -0.1882 3.1299 -0.11 -0.01 -0.01 0.49
Cl -14.3780 6.2365 0.5575 0.01 -0.02 -0.01 0.50
Cl 12.1130 -0.4634 0.1916 -0.05 -0.01 -0.05 0.49
Cl 1.9088 -3.3991 -8.2088 -0.01 0.01 0.01 0.51
Cl -14.1536 8.5399 2.3629 0.01 0.01 0.01 0.50
Cl -4.8069 -5.0996 -0.8781 0.04 0.03 -0.01 0.53
Cl 15.2964 -0.5962 1.7399 0.01 0.03 0.03 0.52
Cl -7.5662 0.5279 0.5256 -0.11 0.02 -0.06 0.53
Cl -2.3640 -0.2275 3.1918 -0.04 0.01 0.09 0.54
Cl 2.9430 3.1963 0.1888 0.14 -0.04 -0.01 0.51
Cl 0.6271 4.7912 1.0076 0.00 -0.01 0.01 0.51
Cl 15.0506 1.9453 3.1961 -0.02 0.02 0.01 0.52
Cl -4.7597 1.3226 0.2911 0.07 0.02 -0.06 0.54
Cl -10.5671 4.8695 2.8309 0.03 0.02 0.04 0.52
Cl -10.7925 2.5854 1.0011 0.01 0.01 0.00 0.49
Cl 5.1452 0.8351 2.0619 -0.03 0.07 0.00 0.51
Cl 10.8957 -0.6157 2.8579 0.13 -0.02 0.01 0.48
Cl -2.2738 2.2331 4.7934 -0.01 0.00 -0.01 0.51
Cl -6.9882 -3.1834 -0.4618 0.01 0.01 -0.05 0.54
Cl -9.5180 0.3230 3.5427 -0.03 -0.08 0.08 0.52
Cl -6.7777 -0.6598 3.9663 0.02 -0.01 -0.01 0.51
........

However, the pyroclastic flows, composed of fast-moving volcanic material and toxic gas, that charged out of Vesuvius and buried Herculaneum could not have caused the brain tissues of this young man to turn into glass, he said. The temperatures of these flows did not reach higher than 465 C (869 F), the study said. Plus, they would have cooled slowly.

Instead, based on observations of more recent eruptions, an extremely hot ash cloud that dissipated quickly could have created the conditions necessary for the vitrification of human brain tissue to occur, the study concluded. But the specific set of circumstances needed to vitrify soft tissue has raised some scepticism in the scientific community.

Connecting ash to glass

The young man's skull and spine likely protected the brain from "complete thermal breakdown," allowing fragments of the unique organic glass to form.

Unlike pyroclastic flows, which hug the ground, an ash cloud is airborne. However, the two are linked, Giordano said.

"What is an ash cloud? It's a dilute part of the pyroclastic flow. It's usually formed at the edges, above and laterally, where most of the material is like an avalanche or landslide, but the peripheral part is of finer particle ash," he explained. "These clouds can be hot enough to kill you."

To reach the findings, Giordano and his colleagues systematically cooled and heated fragments of the glass sampled from inside the skull and spine to understand what degree of heat and subsequent cooling was necessary. They found that the brain tissue transformed into glass at a temperature of at least 510 degrees Celsius.

"The ash cloud basically instantly killed the people, because they were engulfed in a cloud that was probably about 510, maybe 600 degrees (Celsius)," he added.

At the bottom of the layers of ash and rubble that buried Herculaneum is a layer of fine volcanic ash that may have been deposited by the ash cloud, Giordano said.

Vitrification of soft tissue was "incredibly unlikely," said Alexandra Morton-Hayward, a forensic anthropologist at the UK's University of Oxford, adding that she was not convinced that the glassy substance was brain tissue. Morton-Hayward has compiled a unique archive of information about 4405 brains unearthed by archaeologists. She was not involved in the research.

She said organic tissues, which are mostly water, can only be vitrified by rapid cooling to extremely low temperatures, well below zero degrees Celsius - a process known as cryopreservation.

Cryopreservation involves cooling organs in liquid nitrogen to prevent ice formation, stabilizing them in a solid-like state while maintaining their molecular structure. "I'm not convinced this (artifact) is the one and only exception to this rule."

Giordano said there was no doubt that the glass was organic in origin. Previous research has shown that neurons and proteins in the individual's brain were preserved, he noted.